
Name Description
Position This will move the object along X, Y and Z axis in the local space.
Scale Scale of the coordinate system. To scale the Object check the settings under “Display”
Rotation Rotation of the object along X, Y and Z axis.


Name Description
Weight This is the amount that the objects are affected, the higher the number the more the objects are affected.
Frequency This is the speed at which the values affect the targets. Controlled by the speed at which the wave reaches the peaks and troughs.
Offset This applies an offset scale to the wave.
  • Radial
  • Linear
  • Index
  • Falloff
Linear Direction
  • X
  • Y
  • Z
Gradient Size The size of the gradient can be set here in meters.


Name Description
Blend Mode
  • Normal
  • Lighten
  • Darken
  • Multiply
  • Average
  • Add
  • Subtract
  • Difference
  • Screen
  • Overlay
  • Softlight
  • Hardlight
Colour Gradient Double-clicking on either end of the colour block will open up two colour pickers and the gradient colours can be chosen.


Name Description
  • Infinate
  • Cube
  • Sphere
  • Linear
Position Type
  • Effected Position
  • Original Object Position
Falloff The falloff percentage can be changed using the slider.
Radius The radius of the falloff can be altered in meters.
Cube Size The XYZ scale in meters can be altered.
Invert When on, the effect will only be applied outside the effector.

Effected Objects

Parameters that contain target objects can be added using the + button.


Name Description
Target A target object can be selected by using the trigger button. The target object/s will be affected by the effector.
  • Tracker
  • Pixel
  • Spotlight
  • Light Fixture
  • Winch
  • Winch2
  • Winch3


Name Description
Display Object If ticked, the object will be visible in the scene. If un-ticked, the object will not be visible.
Display Label When on, there will be a label displayed next to the object.
Locked When un-ticked, it activates keyboard shortcuts – pressing ‘E’ allows you to move and ‘R’ rotate.
Object Colour Double click the colour block and this will open a colour picker. This can be used to change the object display colour.
Viewport Scale Dimensions of the object in the viewport in meters.

Display Settings Tutorial

Video Tutorial

Gradient Effector setup begins at 05:15.

Node Based

• Someone pasted materials data at this point:
Theoretical X-ray powder pattern of LiMn2Fe2P4O16 for Cu Kα (weighted mean of Kα1 and Kα2), from DFT lattice parameters and positions (PBE+U).
No peak broadening, texture or thermal motion is included.

Atomic structure:
abc: 4.953 5.940 10.119
angles: 90.00 90.01 90.00
Space group Pm (No. 6)
Symmetry-distinct sites (fractional):
Li  0.000  0.000  0.000 (multiplicity 1)
Mn  0.152  0.500  0.239 (multiplicity 1)
Mn  0.595  0.000  0.181 (multiplicity 1)
Fe  0.030  0.000  0.667 (multiplicity 1)
Fe  0.533  0.500  0.719 (multiplicity 1)
P  0.147  0.000  0.359 (multiplicity 1)
P  0.476  0.000  0.844 (multiplicity 1)
P  0.685  0.500  0.044 (multiplicity 1)
P  0.983  0.500  0.544 (multiplicity 1)
O  0.229  0.000  0.507 (multiplicity 1)
O  0.288  0.500  0.568 (multiplicity 1)
O  0.294  0.201  0.286 (multiplicity 2)
O  0.337  0.201  0.768 (multiplicity 2)
O  0.383  0.500  0.084 (multiplicity 1)
O  0.393  0.000  0.989 (multiplicity 1)
O  0.700  0.500  0.891 (multiplicity 1)
O  0.787  0.000  0.828 (multiplicity 1)
O  0.835  0.289  0.100 (multiplicity 2)
O  0.837  0.298  0.617 (multiplicity 2)
O  0.846  0.000  0.343 (multiplicity 1)
O  0.920  0.500  0.395 (multiplicity 1)

Largest 10 diffraction maxima, in order of rising 2θ, 2θ = 5–70°:
h k l	d/Å	Rel. int.
0 0 2	5.060	64
1 0 1	4.449	97
1 1 -1	3.561	84
1 0 2	3.539	23
1 1 2	3.040	26
0 2 0	2.970	79
1 1 -3	2.524	100
1 2 1	2.470	33
2 2 -2	1.780	22
1 3 -3	1.614	24

=====

Record 1
Theoretical X-ray powder pattern
Compound: SrLaMnSbO6
Radiation: Cu Kα X-rays
Structure: the GGA+U geometry in the Materials Project
Peak positions follow from Bragg's law for the DFT cell and can differ from measured ones.

Principal peaks in the range 10 to 90 degrees two-theta, by intensity:
hkl  d_spacing  I (rel.)
1 1 1  2.888  1000
2 2 -2  2.047  251
2 0 -2  2.863  241
2 0 -6  1.659  229
0 2 0  2.928  228
0 0 4  2.037  145
1 3 1  1.683  143
2 2 2  1.444  135
3 1 -5  1.657  111
0 2 4  1.672  102

Atomic structure:
```
data_SrLaMnSbO6
_chemical_formula_sum 'Sr2 La2 Mn2 Sb2 O12'
_symmetry_space_group_name_H-M 'P 1 c 1'
_symmetry_Int_Tables_number 7
_cell_length_a 5.7268
_cell_length_b 5.8568
_cell_length_c 9.9550
_cell_angle_alpha 90.00
_cell_angle_beta 125.07
_cell_angle_gamma 90.00
loop_
_symmetry_equiv_pos_as_xyz
'x,y,z'
'x,-y,z+1/2'
loop_
_atom_site_label
_atom_site_type_symbol
_atom_site_fract_x
_atom_site_fract_y
_atom_site_fract_z
_atom_site_occupancy
Sr1 Sr 0.0000 0.2118 0.0000 1
La1 La 0.5241 0.3012 0.5018 1
Mn1 Mn 0.7599 0.2441 0.2498 1
Sb1 Sb 0.2589 0.2472 0.7495 1
O1 O 0.0054 0.4787 0.2010 1
O2 O 0.1177 0.2240 0.5106 1
O3 O 0.4206 0.2826 0.9893 1
O4 O 0.4962 0.0376 0.3001 1
O5 O 0.5750 0.4540 0.7897 1
O6 O 0.9246 0.0567 0.7015 1
```

---

Record 2
Theoretical X-ray powder pattern
Compound: La2MnSe2O2
Radiation: Cu Kα X-rays
Structure: the GGA+U geometry in the Materials Project
Peak positions follow from Bragg's law for the DFT cell and can differ from measured ones.
• End of the materials data:

The gradient effector can be manipulated in the board by adding the effector as a node, this can be done by clicking and dragging the specific effector on the board.

Name Description
  • Input – The effector’s values are determined by incoming values from an external source.
  • Output – The effector is outputting data to another source.
Target Object The object that will be affected can be selected here.
Position The XYZ values will be displayed here.
Rotation The XYZ values will be displayed here.
Enabled When on, the parameter is active and enabled.
Displayed Colour This colour block can be changed by changing the parameter display colour.


Name Description
Editable When on, the node is editable.
Locked When on, the node is locked into its position on the board.